Saturday, September 19, 2015

Overwatch Gameplay - Torbjorn (Abilities & Lore)

Inserted here: records of molecules:
-- begin --
[1]
Formula: C19H48BN10O6
Source: the Open Molecules 2025 dataset
Level of theory: ωB97M-V/def2-TZVPD

The net charge is +1. The LUMO energy comes out at -5.09 eV.

Cartesian coordinates (Å):
N (-1.570, -0.717, -0.649)
C (-2.840, -1.409, -0.803)
C (-3.330, -1.297, -2.243)
N (-4.799, -0.853, -2.209)
C (-5.107, -1.196, -3.522)
N (-5.555, -0.293, -4.379)
N (-4.747, -2.505, -3.856)
C (-3.426, -2.615, -3.102)
B (-2.278, -2.729, -4.229)
N (-1.560, -3.966, -4.401)
O (-2.009, -1.616, -4.992)
H (-1.332, -0.703, 0.345)
H (-1.691, 0.242, -0.955)
H (-3.622, -0.960, -0.178)
H (-2.740, -2.451, -0.501)
H (-2.843, -0.522, -2.835)
H (-5.268, -1.618, -1.708)
H (-6.390, -0.413, -4.937)
H (-5.082, 0.602, -4.427)
H (-5.416, -3.206, -3.548)
H (-3.336, -3.502, -2.477)
H (-1.994, -4.601, -5.063)
H (-0.615, -3.806, -4.738)
H (-2.833, -1.122, -5.106)
C (-0.508, 0.759, 4.263)
C (-0.323, 0.470, 2.799)
O (-1.024, -0.341, 2.197)
N (0.659, 1.140, 2.148)
C (1.568, 2.127, 2.697)
H (-1.326, 0.150, 4.634)
H (0.386, 0.519, 4.832)
H (-0.748, 1.808, 4.429)
H (0.749, 0.903, 1.173)
H (1.459, 3.081, 2.179)
H (2.603, 1.797, 2.593)
H (1.354, 2.281, 3.749)
C (-0.012, 0.701, -5.603)
C (-0.855, 1.957, -5.632)
O (-1.484, 2.319, -4.641)
N (-0.919, 2.645, -6.791)
C (-0.261, 2.351, -8.054)
H (-0.096, 0.279, -4.607)
H (-0.421, -0.003, -6.329)
H (1.036, 0.890, -5.829)
H (-1.506, 3.464, -6.745)
H (0.395, 3.173, -8.340)
H (-0.998, 2.200, -8.841)
H (0.338, 1.450, -7.963)
C (1.055, 1.235, 9.267)
C (1.169, 1.595, 7.803)
O (0.233, 1.439, 7.029)
N (2.354, 2.100, 7.382)
C (3.550, 2.345, 8.171)
H (0.055, 0.848, 9.441)
H (1.786, 0.474, 9.540)
H (1.214, 2.110, 9.897)
H (2.375, 2.326, 6.401)
H (3.816, 3.402, 8.138)
H (4.384, 1.766, 7.776)
H (3.405, 2.057, 9.204)
C (6.621, -0.286, 11.679)
C (6.364, 0.559, 10.452)
O (5.420, 1.331, 10.390)
N (7.229, 0.431, 9.413)
C (8.392, -0.428, 9.314)
H (5.848, -0.063, 12.408)
H (6.586, -1.349, 11.437)
H (7.594, -0.058, 12.114)
H (7.009, 1.023, 8.628)
H (9.296, 0.164, 9.160)
H (8.290, -1.120, 8.477)
H (8.513, -1.006, 10.224)
C (-2.171, -1.343, -10.727)
C (-2.617, -0.320, -9.712)
O (-2.646, 0.873, -9.953)
N (-2.991, -0.777, -8.481)
C (-3.016, -2.141, -7.983)
H (-1.909, -0.818, -11.640)
H (-1.299, -1.893, -10.371)
H (-2.969, -2.054, -10.943)
H (-3.276, -0.034, -7.862)
H (-4.032, -2.412, -7.681)
H (-2.355, -2.212, -7.120)
H (-2.685, -2.836, -8.747)


[2]
Formula: C19H48N3O16Y
Source: the Open Molecules 2025 dataset
Level of theory: ωB97M-V/def2-TZVPD

The LUMO energy comes out at -3.69 eV.

Cartesian coordinates (Å):
Y (1.827, 3.464, -0.627)
O (-0.871, -1.256, -0.437)
C (-0.319, -0.026, -0.396)
O (0.338, 0.383, -1.347)
O (-0.408, 0.800, 0.571)
H (-1.199, -1.225, 0.465)
O (5.892, 0.549, 1.501)
C (5.014, 1.368, 0.975)
O (4.516, 1.350, -0.174)
O (4.440, 2.225, 1.612)
H (6.133, 0.922, 2.352)
O (-0.776, 7.285, 2.101)
C (-0.081, 6.421, 1.458)
O (0.323, 5.352, 1.897)
O (0.515, 6.715, 0.401)
H (-1.012, 6.727, 2.846)
C (1.227, 4.756, -5.918)
C (0.828, 4.690, -4.403)
-- stop --

Overwatch Gameplay series keeps going with the Defense role Torbjorn.
New franchise from Blizzard Entertainment and we would like to give you all information asap. We are doing a full abilities and lore story series for each of the Heroes in this new Brawler. This particular game is on the WATCHPOINT: GIBRALTAR map (battlefield) in Payload mode.

There are no Beta keys at the moment but you can sign up for Overwatch here :
I would also like to the add that the beta should go live in the Autumn of 2015.

Full Abilities :

Warcraft 3 (Gameplay) - Rexxar's Origin - The Founding of Durotar (To Tame a Land - Part 4)

I thought it would be cool to show Rexxar's Origin so that means Warcraft 3 Gameplay. Here we get to see him for the first time but not only, Thrall, Gazlowe, Rokhan, Nazgrel, Drek'thar, Chen and many others are also present. This was done in 1080p 60fps although the game did not support this resolution. The forth part of the first mission (To Tame a Land) in The Founding of Durotar Bonus Campaign for Warcraft III - The Frozen Throne.

Friday, September 18, 2015

Heroes of the Storm (Gameplay) - Rexxar Build Guide (HotS Quick Match)

Time to do a proper Build Guide for Rexxar so that means Heroes of the Storm Gameplay (1080p 60fps). In this HotS Quick Match we will go over what viable talent choices we got for him and his Bear companion Misha. Keep in mind that all information presented in this video reflects my views on the current (time of publishing) state of the actual Hero. With the recent bug fixes brought to Rexxar I believe we can get a accurate feeling for this hulking half-ogre

Thursday, September 17, 2015

Warcraft 3 (Gameplay) - Rexxar's Origin - The Founding of Durotar (To Tame a Land - Part 3)

I thought it would be cool to show Rexxar's Origin so that means Warcraft 3 Gameplay. Here we get to see him for the first time but not only, Thrall, Gazlowe, Rokhan, Nazgrel, Drek'thar, Chen and many others are also present. This was done in 1080p 60fps although the game did not support this resolution. The third part of the first mission (To Tame a Land) in The Founding of Durotar Bonus Campaign for Warcraft III - The Frozen Throne.

Heroes of the Storm (HotS) - Infernal Shrines Easter Egg

This is the hidden Easter Egg Secret on the Infernal Shrines Battleground in Heroes of the Storm (HotS). Just follow what is showed on screen and you can unlock it to. The weapon appears to be the Butcher's Axe.

Heroes of the Storm (HotS) - Battlefield of Eternity Easter Egg

This is the hidden Easter Egg Secret on Battlefield of Eternity Battleground in Heroes of the Storm (HotS). Just follow what is showed on screen and you can unlock it to. The blade appears to be the refurbished Quel'Serrar

Heroes of the Storm (Gameplay) - Arthas Build Guide - Crown Prince Skin ...

Arthas Gameplay in Heroes of the Storm using the Crown Prince Skin and Judgement Charger Mount. With The Lich King being free for this week I thought that a Build Guide would be useful. So that means HotS Quick Match time with a bunch of the LGV community. You can join to on the EU server, just type /join LGV in the chat and we will talk more there

A bit of Lore :
Prince Arthas Menethil was born by Lianne Menethil to King Terenas Menethil II, four years before the start of the First War and is their youngest child. The young prince grew up in a time when the lands of Azeroth were ravaged by war, the Alliance was crumbling, and darker clouds still loomed on the horizon. As a young child, he became friends with Varian Wrynn.

As a youth, Arthas was trained in combat by Muradin Bronzebeard, the brother of the dwarven king Magni Bronzebeard, and became an adept swordsman. Under the tutelage of Uther the Lightbringer, Arthas was inducted into the Knights of the Silver Hand at the young age of 19. The ceremony was held in the Cathedral of Light in Stormwind City, and it was then that Arthas was given the holy mace called Light's Vengeance.
Despite his rash and headstrong behavior, Arthas became a renowned warrior. One of his more famed exploits was counterattacking a group of forest trolls striking at Quel'Thalas from Zul'Aman.
It was during this time that Arthas met the youngest daughter of Daelin Proudmoore, the sorceress Jaina. Over the years, they grew close as friends, and then romantically. They were very much in love with one another. But, eventually Arthas would question whether the two of them were ready to be together. Arthas would abruptly end the relationship so Jaina could focus on her magical studies in Dalaran and Arthas could focus on his commitments to Lordaeron. Shortly after, they would agree to rekindle their romance, but this was during the beginning of the Scourge invasion that would change both of their lives forever.